20-Minute Leaders
“The value you bring to police forces contributes to the personal security of each of us.”
Helping police and security forces is gratifying to Yossi Carmil, CEO of Cellebrite, because he gets to make an impact on people’s safety.
Helping police and security forces is gratifying to Yossi Carmil, CEO of Cellebrite, because he gets to make an impact on people’s safety. Cellebrite began by aiding police in finding evidence on mobile devices, and Carmil says they want to continue to expand and digitize the entire investigation process. He explains that the goal is to improve the abilities of the police through technology for increasingly digital investigations. But Cellebrite is going beyond the technology: they are creating a service academy to train police to stand behind the evidence in court. Carmil began his commercial career in Europe at a time when that wasn’t as common for Israelis. He shares that he was looking for an advantage, and his time in Germany allowed him to advance in companies with German and Israeli markets. Though his work is important, he says that his family is his foundation and helps keep him balanced.
Today, you are the CEO of Cellebrite. Your journey spans beyond that and is definitely non-conventional. I want to start with you as an athlete.
I train between six to seven days a week. It's a mix of running, swimming, and yoga. But sport has been there since I was 14. It has to do with three things that are part of my personality: persistence, high discipline, and well-balanced. If you add the three together, I think I have a fascinating role as a CEO of Cellebrite.
But you need a balance. I've got two balances. I'm relying on my family: wife, and three kids. They are a very important base for everything. When I look at the balance that I need to bring into the mix as CEO of a publicly traded company, you need something that will balance you, so that's the role of sports.
Tell me about your personal transitions: economics, MBA, sales, leadership to CEO. What was that like?
I left the house when I was 18. I joined a paratrooper unit in the Israeli army as a combat, and after that, as an officer. Those were the steps where I gained real self-confidence. I started a journey of a life of challenges, growth within. I had the luck that qualitative leaders touched me along the road and gave me value and leadership growth.
After a few years in the Israeli Ministry of Defense, I moved to Europe and I lived for 10 years. I did my academy degrees, economy, and MBA, and worked in Germany for the first time in commercial life at Bosch and Siemens. That gave me an international and global perspective in my life. At the end of the day, I searched for a relative advantage. Back then, there were not so many Israelis who did the European arena as part of the professional buildup. Later on, I succeeded in two things: to do the Siemens role for a German company in Israel, and immediately after, I moved to an Israeli company who wanted to open the German market. I also did my first managerial roles as VP commercial of Siemens. After that, I managed sales teams.
Joining Cellebrite was something completely different. I joined, as employee number five, a small company that was amazing in terms of potential and growth. I joined as a VP Sales. I was nominated as the CEO 2005. In 2007, we were acquired by a Japanese public company. That was an amazing experience to do the journey as a small company growing side by side with a Japanese shareholdership with a major market in the USA.
**Inserted here: records of molecules**
+++
# C38H30ClNO5PSr

A structure of composition C38H30ClNO5PSr (ωB97M-V with the def2-TZVPD basis set, the Open Molecules 2025 dataset).

Cartesian coordinates (Å):
Sr  1.278  1.184  0.543
O  0.686  -0.431  3.440
C  0.781  -1.234  2.498
O  1.427  -1.004  1.426
C  0.066  -2.569  2.619
P  -0.239  -3.487  1.054
C  -1.239  -2.302  0.087
C  -2.030  -1.303  0.658
C  -2.717  -0.401  -0.136
C  -2.629  -0.480  -1.517
C  -1.852  -1.469  -2.101
C  -1.158  -2.368  -1.302
C  -1.505  -4.634  1.709
C  -1.097  -5.679  2.536
C  -2.013  -6.577  3.056
C  -3.361  -6.466  2.741
C  -3.779  -5.443  1.904
C  -2.861  -4.534  1.398
H  -0.855  -2.410  3.186
H  0.680  -3.227  3.244
H  -2.090  -1.212  1.737
H  -3.279  0.400  0.323
H  -3.138  0.251  -2.134
H  -1.755  -1.527  -3.178
H  -0.518  -3.113  -1.762
H  -0.046  -5.800  2.777
H  -1.667  -7.374  3.703
H  -4.073  -7.175  3.142
H  -4.827  -5.346  1.646
H  -3.203  -3.736  0.752
C  1.668  1.414  -4.446
C  2.999  1.128  -4.721
C  3.880  0.962  -3.668
C  3.427  1.080  -2.347
C  2.082  1.339  -2.016
C  1.241  1.508  -3.129
C  4.406  0.895  -1.226
C  5.815  0.961  -1.480
C  6.706  0.786  -0.474
C  6.235  0.520  0.836
C  7.089  0.314  1.941
C  6.570  0.065  3.180
C  5.172  0.005  3.359
C  4.322  0.202  2.305
C  4.839  0.477  1.014
N  3.951  0.690  -0.007
H  0.965  1.547  -5.263
H  3.343  1.026  -5.744
H  4.908  0.711  -3.897
H  0.182  1.708  -2.974
H  6.157  1.186  -2.476
H  7.773  0.855  -0.651
H  8.162  0.355  1.791
H  7.226  -0.094  4.026
H  4.760  -0.211  4.337
H  3.254  0.098  2.443
C  -5.649  2.664  0.164
C  -4.677  3.035  -0.913
C  -5.002  2.909  -2.254
C  -4.090  3.266  -3.234
Cl  -4.530  3.088  -4.916
C  -2.843  3.752  -2.902
C  -2.498  3.882  -1.563
C  -3.405  3.523  -0.575
O  -3.170  3.613  0.761
C  -1.901  4.056  1.199
C  -0.759  3.059  0.933
O  -1.045  1.986  0.370
O  0.386  3.405  1.299
H  -6.556  2.245  -0.270
H  -5.921  3.534  0.766
H  -5.224  1.934  0.854
H  -5.973  2.526  -2.541
H  -2.132  4.015  -3.672
H  -1.507  4.234  -1.318
H  -1.985  4.183  2.279
H  -1.646  5.030  0.772

## Properties
HOMO energy   -4.89 eV
Total charge   -1
Orbital gap   0.270 Eh
Energy above the lowest of the compared OMol25 structures with the same formula, charge and spin   0.0 kcal per mole
Largest force on an atom   0.71 eV/A

=====

# C38H30FN3O4PdSi

A structure of composition C38H30FN3O4PdSi (ωB97M-V with the def2-TZVPD basis set, the Open Molecules 2025 dataset).

Cartesian coordinates (Å):
Pd  1.859  -0.731  -0.380
O  -1.576  0.661  2.704
C  -0.619  0.228  1.948
O  -0.702  0.163  0.700
C  0.580  -0.240  2.697
C  0.493  -0.246  4.085
C  1.587  -0.679  4.808
C  2.697  -1.109  4.113
C  2.702  -1.097  2.718
N  1.663  -0.644  2.005
C  3.924  -1.592  1.958
O  4.807  -2.327  2.629
O  4.107  -1.346  0.802
H  -2.391  0.887  2.208
H  -0.406  0.089  4.579
H  1.573  -0.681  5.889
H  3.565  -1.423  4.676
H  4.537  -2.574  3.520
C  -0.510  0.618  -4.702
C  -0.281  1.817  -4.041
C  -0.680  1.965  -2.721
C  -1.306  0.909  -2.050
+++
**So much for the records of molecules**
Tell me a little bit about digital investigations and then the transformation.
As a company, Cellebrite is serving 7,000 customers as a B2B. About 5,000 are business-to-government, Homeland Security customers. 90% of those 5,000 are law enforcement agencies. Cellebrite is a professional vendor that really knows how to work with police.
I'm encouraged, motivated and fascinated by the work with police forces. The value you bring to them is something that contributes to the personal security of each one of us. Those forces are facing today a world of investigations that is becoming more and more digital. If we are looking at the challenges being solved by the Cellebrite portfolio, they are: first, digital evidence's quantity and complexity; second, the inefficient and silo mold of investigations; third, the need of the police to be ethical and accountable in the way they do investigations.
The first one, about the data quantity and complexity, is the fact that our police forces today are facing an explosion of data. They are overwhelmed by the quantity of digital sources: mobile, computer, drones, cloud, routers, CDRs, cars, videos, cryptocurrency. It's also the amount of data per device. Mobile is the main expertise of Cellebrite; think about the encrypted environment and the locked environment that they are dealing with.
The second part is the inefficiency and the silo mold. There’s lots of manual work, siloed work, disconnected between databases and storages. The police are suffering from a backlog in labs, in police stations, piling amount of mobiles, and you need something that will give an answer to that.
And the third, the amazing work of police faces the need in the digital era to give results fast. But on the other end, they need to pay attention to the chain of custody, the rights of the suspect, to touch only the relevant evidence. They need to be ethical in the way they do investigations, and they need to be accountable for the evidence. In order to make investigations smarter, faster, and more efficient and bring them as quickly as possible to the golden evidence, the answer to that is the portfolio of Cellebrite.
Tell me about the way that you are structuring these partnerships and how you integrate technology and Cellebrite mechanisms to existing mechanisms. How does this whole thing take place as a tech company?
I'm not sure I'll give you an answer, but it's a discussion actually. I am interested in technology. As a person, I'm much more interested in the ability of a technology to serve a mode of operation, and I'm fascinated by a business case.
I would rather take it to how a simple solution enables a simple load of operation. If I go back to Cellebrite, in 2008, we entered into that digital forensics line of business. We were not the first. We were a "me too" strategy. We brought a simple solution, which was designed to take data from a source phone to a target phone in point of sales of mobile operators. We brought that simple solution, simple to use, reaching technology into the police to enable them to meet the challenge of just taking evidence, hashed and protected from mobiles to bring in actionable evidence that they can stand behind.
Cellebrite was and is the world champion doing that in mobile. That was the start. In 2014, 2015, already, police in the US talked all over the place about the fact that they are Cellebrite-ing a device in the lab. We became sticky in the police lab as much as a refrigerator in your kitchen. But how? What makes us a successful "me too"? You basically penetrate. You look at your environment and then create a technological or other USP that creates a gap that the original entities in that field cannot close.
We were the first company to bring the ability to unlock or deal with deleted data and hidden data on mobile devices. But we also brought something very simple to use that could be used by a simple police officer. Later on, for those who would like to make a more deep dive with our tools in order to get deeper into a case, we brought an extension with investigative analytics, AI-based, machine learning-based, giving an answer to the need of connecting or surfacing data faster. Slowly but truly, we are adding an answer to the major pain, bringing the ability for the police to manage the investigations.
Although we are a software and a product company, we understood that we also need to enable the police to stand behind the evidence in court. We are building our service academy. It's not only about the technology but how we support the professional ability of our customers to stand behind the evidence in court.
Our plan is to update and upgrade the ability of police with technology, which then enables them to change the mode of operation. I would like to see five years from now that I'm bringing value to the police to digitize the investigative law end-to-end. "Who helps me to digitize it end-to-end?" They will say, "Cellebrite."
Michael Matias, Forbes 30 Under 30, is a Venture Fellow at Innovation Endeavors as well as investment Venture Partner at Secret Chord and J-Ventures. He studies Artificial Intelligence and Human-Computer Interaction at Stanford University, and was an engineer at Hippo Insurance. Matias previously served as an officer in the 8200 unit. 20MinuteLeaders is a tech entrepreneurship interview series featuring one-on-one interviews with fascinating founders, innovators and thought leaders sharing their journeys and experiences.
Contributing editors: Michael Matias, Megan Ryan